Source >
Theoretical powder X-ray diffraction pattern
Compound: NaZr2Cu2
Radiation: Cu Kα X-rays
Structure: DFT lattice parameters and positions (GGA-PBE)
Kinematic intensities with the Lorentz-polarization factor, no thermal factor.

Structural model:
a b c (Å): 8.104 8.104 2.901
angles (deg): 90.00 90.00 90.00
Atoms (fractional coordinates):
Na (0.000, 0.000, 0.000)
Na (0.500, 0.500, 0.000)
Zr (0.166, 0.334, 0.500)
Zr (0.334, 0.834, 0.500)
Zr (0.666, 0.166, 0.500)
Zr (0.834, 0.666, 0.500)
Cu (0.125, 0.625, 0.000)
Cu (0.375, 0.125, 0.000)
Cu (0.625, 0.875, 0.000)
Cu (0.875, 0.375, 0.000)

Peak list (12 most intense, 2θ = 10–90°, low angle first)
(hkl)  two_theta  I_rel
1 1 0  15.5  40
2 0 0  21.9  10
3 1 0  35.0  45
2 0 1  38.2  13
2 1 1  39.8  100
4 0 0  44.7  14
4 1 0  46.2  11
3 3 0  47.6  14
3 2 1  51.4  8
4 1 1  56.6  12
5 2 1  70.5  18
3 1 2  75.3  8

Assignment >
Next, give back only the lines further up with the word "Peak" in them.

Written answer >
Peak list (12 most intense, 2θ = 10–90°, low angle first)